Given:
<<<
1.
Structure and theoretical PXRD pattern of Mn2CuO4 (a crystal structure in the Materials Project, relaxed with GGA+U; CuKα).

Atomic structure:
```
data_Mn2CuO4
_chemical_formula_sum 'Mn4 Cu2 O8'
_cell_length_a 5.859
_cell_length_b 5.935
_cell_length_c 5.939
_cell_angle_alpha 90.65
_cell_angle_beta 119.38
_cell_angle_gamma 119.52
_space_group_name_H-M_alt 'P -1'
_space_group_IT_number 2
loop_
_space_group_symop_operation_xyz
'x,y,z'
'-x,-y,-z'
loop_
_atom_site_label
_atom_site_type_symbol
_atom_site_fract_x
_atom_site_fract_y
_atom_site_fract_z
_atom_site_occupancy
Mn1 Mn 0.000 0.000 0.000 1
Mn2 Mn 0.000 0.000 0.500 1
Mn3 Mn 0.500 0.000 0.000 1
Mn4 Mn 0.500 0.500 0.000 1
Cu1 Cu 0.250 0.623 0.378 1
O1 O 0.023 0.240 0.763 1
O2 O 0.027 0.792 0.762 1
O3 O 0.476 0.238 0.759 1
O4 O 0.476 0.240 0.208 1
```

Largest 8 diffraction maxima, most intense first, 15° ≤ 2θ ≤ 90°:
35.4°, I 100.0, (-1 2 1); 35.3°, I 59.0, (1 0 1); 62.6°, I 50.6, (2 2 -2); 30.1°, I 44.5, (1 1 -1); 35.7°, I 39.1, (2 0 -1); 35.8°, I 38.2, (-2 1 2); 30.0°, I 30.0, (0 1 1); 62.2°, I 17.2, (0 2 2)

---

2.
Structure and theoretical PXRD pattern of LiCo3OF5 (a crystal structure in the Materials Project, relaxed with GGA+U; CuKα).

Atomic structure:
```
data_LiCo3OF5
_chemical_formula_sum 'Li1 Co3 O1 F5'
_cell_length_a 5.234
_cell_length_b 5.268
_cell_length_c 5.569
_cell_angle_alpha 117.02
_cell_angle_beta 90.79
_cell_angle_gamma 119.43
_space_group_name_H-M_alt 'P 1'
_space_group_IT_number 1
loop_
_space_group_symop_operation_xyz
'x,y,z'
loop_
_atom_site_label
_atom_site_type_symbol
_atom_site_fract_x
_atom_site_fract_y
_atom_site_fract_z
_atom_site_occupancy
Li1 Li 0.000 0.000 0.000 1
Co1 Co 0.260 0.579 0.864 1
Co2 Co 0.452 0.959 0.498 1
Co3 Co 0.789 0.574 0.400 1
O1 O 0.167 0.765 0.675 1
F1 F 0.053 0.770 0.177 1
F2 F 0.391 0.479 0.190 1
F3 F 0.542 0.442 0.669 1
F4 F 0.667 0.064 0.189 1
F5 F 0.873 0.092 0.701 1
```

Largest 8 diffraction maxima, most intense first, 15° ≤ 2θ ≤ 90°:
20.5°, I 100.0, (1 -1 0); 31.7°, I 88.8, (-1 1 1); 32.3°, I 82.9, (0 1 -2); 39.6°, I 75.2, (2 -1 1); 32.0°, I 74.8, (1 0 1); 22.8°, I 74.1, (0 1 0); 18.8°, I 61.0, (0 0 1); 33.9°, I 56.6, (1 1 -1)

---

3.
Structure and theoretical PXRD pattern of Fe4O3F5 (a crystal structure in the Materials Project, relaxed with GGA+U; CuKα).

Atomic structure:
```
data_Fe4O3F5
_chemical_formula_sum 'Fe8 O6 F10'
_cell_length_a 5.698
_cell_length_b 5.703
_cell_length_c 10.170
_cell_angle_alpha 103.46
_cell_angle_beta 94.14
_cell_angle_gamma 117.10
_space_group_name_H-M_alt 'P 1'
_space_group_IT_number 1
loop_
_space_group_symop_operation_xyz
'x,y,z'
loop_
_atom_site_label
_atom_site_type_symbol
_atom_site_fract_x
_atom_site_fract_y
_atom_site_fract_z
_atom_site_occupancy
Fe1 Fe 0.000 0.000 0.000 1
Fe2 Fe 0.110 0.612 0.251 1
Fe3 Fe 0.240 0.270 0.511 1
Fe4 Fe 0.377 0.877 0.748 1
Fe5 Fe 0.506 0.560 0.024 1
Fe6 Fe 0.649 0.165 0.252 1
Fe7 Fe 0.763 0.784 0.507 1
Fe8 Fe 0.887 0.400 0.754 1
O1 O 0.068 0.773 0.851 1
O2 O 0.159 0.481 0.658 1
O3 O 0.429 0.775 0.169 1
O4 O 0.691 0.021 0.663 1
O5 O 0.827 0.543 0.356 1
O6 O 0.921 0.223 0.151 1
F1 F 0.116 0.317 0.912 1
F2 F 0.163 0.968 0.608 1
F3 F 0.332 0.053 0.357 1
F4 F 0.354 0.570 0.410 1
F5 F 0.403 0.227 0.101 1
F6 F 0.590 0.315 0.859 1
F7 F 0.598 0.821 0.902 1
F8 F 0.640 0.477 0.603 1
F9 F 0.851 0.071 0.402 1
F10 F 0.904 0.712 0.108 1
```

Largest 8 diffraction maxima, most intense first, 15° ≤ 2θ ≤ 90°:
24.7°, I 100.0, (1 -1 2); 35.4°, I 85.5, (2 0 -1); 27.3°, I 84.9, (-1 1 2); 50.8°, I 61.4, (3 -1 1); 53.7°, I 43.8, (2 0 -5); 65.9°, I 37.3, (1 1 -7); 50.7°, I 21.5, (2 -2 4); 62.4°, I 19.3, (2 2 -2)

---

4.
Structure and theoretical PXRD pattern of LiV2NiO6 (a crystal structure in the Materials Project, relaxed with GGA+U; CuKα).

Atomic structure:
```
data_LiV2NiO6
_chemical_formula_sum 'Li4 V8 Ni4 O24'
_cell_length_a 10.794
_cell_length_b 8.666
_cell_length_c 5.616
_cell_angle_alpha 90.00
_cell_angle_beta 113.32
_cell_angle_gamma 90.00
>>>
Job:
Could you find "_cell_length_b 5.268" and "0.748" in the contents further up, and set down these two lines and those between?
Solution:
_cell_length_b 5.268
_cell_length_c 5.569
_cell_angle_alpha 117.02
_cell_angle_beta 90.79
_cell_angle_gamma 119.43
_space_group_name_H-M_alt 'P 1'
_space_group_IT_number 1
loop_
_space_group_symop_operation_xyz
'x,y,z'
loop_
_atom_site_label
_atom_site_type_symbol
_atom_site_fract_x
_atom_site_fract_y
_atom_site_fract_z
_atom_site_occupancy
Li1 Li 0.000 0.000 0.000 1
Co1 Co 0.260 0.579 0.864 1
Co2 Co 0.452 0.959 0.498 1
Co3 Co 0.789 0.574 0.400 1
O1 O 0.167 0.765 0.675 1
F1 F 0.053 0.770 0.177 1
F2 F 0.391 0.479 0.190 1
F3 F 0.542 0.442 0.669 1
F4 F 0.667 0.064 0.189 1
F5 F 0.873 0.092 0.701 1
```

Largest 8 diffraction maxima, most intense first, 15° ≤ 2θ ≤ 90°:
20.5°, I 100.0, (1 -1 0); 31.7°, I 88.8, (-1 1 1); 32.3°, I 82.9, (0 1 -2); 39.6°, I 75.2, (2 -1 1); 32.0°, I 74.8, (1 0 1); 22.8°, I 74.1, (0 1 0); 18.8°, I 61.0, (0 0 1); 33.9°, I 56.6, (1 1 -1)

---

3.
Structure and theoretical PXRD pattern of Fe4O3F5 (a crystal structure in the Materials Project, relaxed with GGA+U; CuKα).

Atomic structure:
```
data_Fe4O3F5
_chemical_formula_sum 'Fe8 O6 F10'
_cell_length_a 5.698
_cell_length_b 5.703
_cell_length_c 10.170
_cell_angle_alpha 103.46
_cell_angle_beta 94.14
_cell_angle_gamma 117.10
_space_group_name_H-M_alt 'P 1'
_space_group_IT_number 1
loop_
_space_group_symop_operation_xyz
'x,y,z'
loop_
_atom_site_label
_atom_site_type_symbol
_atom_site_fract_x
_atom_site_fract_y
_atom_site_fract_z
_atom_site_occupancy
Fe1 Fe 0.000 0.000 0.000 1
Fe2 Fe 0.110 0.612 0.251 1
Fe3 Fe 0.240 0.270 0.511 1
Fe4 Fe 0.377 0.877 0.748 1